Given:
~~~
[1]
Entry from the Open Molecules 2025 dataset: a molecular structure, C33H38F3GaN12OSSi2 (wB97M-V/def2-TZVPD).

Geometry as XYZ:
```
91
Properties=species:S:1:pos:R:3:mulliken_charge:R:1
Ga 1.2016 -0.6651 1.3313 -0.63
N 3.9470 0.1856 2.9705 0.06
C 2.8911 -0.2610 3.7540 0.21
N 2.9723 -0.3845 5.0637 -0.66
N 1.7583 -0.8666 5.4186 -0.85
N 1.0100 -1.0242 4.3907 -0.32
N 1.6910 -0.6169 3.2976 1.25
C 4.1748 -0.3010 1.6902 0.31
N 5.3773 -0.3827 1.1476 -0.79
N 5.1426 -0.8820 -0.0821 -0.90
N 3.8858 -1.0914 -0.2556 -0.23
N 3.2292 -0.7233 0.8658 0.94
H 4.7988 0.2955 3.4995 0.36
C 1.6682 3.1765 3.6144 -1.40
Si 0.4941 2.3198 2.3974 0.93
C -0.5817 3.6501 1.5874 -1.37
C -0.6299 1.3660 3.5504 -0.94
N 1.2933 1.3663 1.1759 0.41
C 1.9671 2.0378 0.1721 0.43
C 2.2426 1.4264 -1.0660 1.55
C 2.9118 2.0849 -2.0821 -0.37
C 3.3325 3.4019 -1.9437 -1.12
C 3.0683 4.0339 -0.7386 -0.97
C 2.4124 3.3752 0.2864 -0.40
H 1.0809 3.5134 4.4735 0.33
H 2.2232 4.0319 3.2338 0.46
H 2.3921 2.4453 3.9804 0.31
H -1.2969 4.0497 2.3100 0.41
H -1.1475 3.2166 0.7584 0.20
H -0.0045 4.4819 1.1869 0.42
H -1.4654 2.0188 3.8202 0.47
H -0.0987 1.1062 4.4643 0.48
H -1.0365 0.4447 3.1373 -0.04
H 1.9134 0.4071 -1.2199 -0.44
H 3.1106 1.5506 -3.0027 0.08
H 3.8662 3.9072 -2.7398 0.37
H 3.3860 5.0602 -0.5808 0.36
H 2.2536 3.9114 1.2061 0.07
F 0.0782 -3.1355 2.3166 -0.24
C 1.1179 -2.7819 1.4946 -0.10
F 2.2341 -3.2371 2.1559 -0.26
F 0.9931 -3.6322 0.4408 -0.36
C 3.8389 -1.0433 -4.1209 -1.13
N 2.8758 -1.0055 -3.0380 0.31
C 1.5534 -1.2947 -3.1700 -0.18
S 0.7538 -2.0089 -1.9084 0.10
N 0.9329 -0.9263 -4.3307 -0.22
C 1.2984 0.2773 -5.0616 -0.91
H 4.7734 -1.4410 -3.7283 0.37
H 4.0445 -0.0555 -4.5439 0.27
H 3.4952 -1.6998 -4.9238 0.39
H 3.2234 -1.2571 -2.1110 0.24
H -0.0620 -1.0904 -4.2643 0.37
H 1.9302 0.0653 -5.9266 0.28
H 1.8149 0.9827 -4.4104 0.17
H 0.3831 0.7546 -5.4112 0.37
O -0.6949 -0.5400 0.9580 0.72
Si -2.0399 -1.0011 0.2568 -1.42
C -2.1721 -0.1711 -1.4400 0.21
C -3.1615 -0.4699 -2.3751 -0.13
C -3.2389 0.2082 -3.5866 -0.80
C -2.3335 1.2224 -3.8719 -0.60
C -1.3533 1.5506 -2.9420 -0.78
C -1.2728 0.8538 -1.7449 0.44
C -3.5729 -0.3198 1.1535 0.44
C -3.5108 0.9713 1.6837 -0.38
C -4.6184 1.5805 2.2540 -0.81
C -5.8327 0.9091 2.2990 -0.47
C -5.9253 -0.3679 1.7656 -0.75
C -4.8075 -0.9695 1.1997 -0.41
C -2.3652 -2.8491 0.0702 1.03
C -2.7014 -3.5985 1.2015 -0.14
C -2.9546 -4.9589 1.1212 -0.73
C -2.8773 -5.6058 -0.1051 -0.54
C -2.5405 -4.8847 -1.2400 -0.77
C -2.2851 -3.5221 -1.1483 -0.11
H -3.8786 -1.2563 -2.1638 0.39
H -4.0095 -0.0495 -4.3050 0.38
H -2.3998 1.7634 -4.8099 0.38
H -0.6413 2.3409 -3.1501 0.49
H -0.4906 1.0927 -1.0336 0.20
H -2.5712 1.5084 1.6467 0.35
H -4.5330 2.5804 2.6627 0.42
H -6.7008 1.3781 2.7481 0.34
H -6.8694 -0.9004 1.7934 0.39
H -4.9022 -1.9685 0.7898 0.33
H -2.7420 -3.1128 2.1694 0.46
H -3.1951 -5.5181 2.0177 0.38
H -3.0675 -6.6713 -0.1717 0.33
H -2.4570 -5.3856 -2.1976 0.38
H -1.9975 -2.9755 -2.0372 0.31
```

Summary:
Charge: -2
Frontier orbital gap, eV: 6.56

[2]
Entry from the Open Molecules 2025 dataset: 7 unconnected molecules or ions with the total composition C30H45BIN6O3S at a distorted geometry (wB97M-V/def2-TZVPD).

Geometry as XYZ:
```
87
Properties=species:S:1:pos:R:3:mulliken_charge:R:1
C 0.1242 -1.1055 0.9018 -1.32
C -0.3803 0.2866 0.5427 0.15
C -0.5441 0.4763 -0.9494 -0.32
C 0.7471 0.3107 -1.7259 -0.32
O 1.2848 1.5577 -2.2598 -0.26
S 1.5609 2.6290 -1.0912 0.09
I 2.7356 4.3881 -2.1984 0.16
B 2.8822 1.9570 0.0999 0.90
O 3.0684 2.7729 1.1581 -0.59
O 3.5326 0.8126 -0.0494 -0.21
C 4.1371 0.5750 -1.3664 0.13
C 5.4212 -0.2038 -1.1552 -1.30
H 1.2095 -1.1250 0.9179 0.27
H -0.1933 -1.3816 1.8937 0.44
H -0.1821 -1.8457 0.1736 0.29
H -1.3388 0.4099 1.0256 0.31
H 0.2815 1.0408 0.9811 -0.09
H -1.0634 1.4025 -1.1704 0.32
H -1.2076 -0.3162 -1.2725 -0.07
H 1.4737 -0.2256 -1.1324 0.18
H 0.5692 -0.2993 -2.5960 0.46
H 2.6416 2.3691 1.9416 0.29
H 4.3500 1.5109 -1.8654 0.22
H 3.4714 -0.0274 -1.9675 0.18
H 5.5377 -0.9868 -1.8875 0.41
H 6.2752 0.4507 -1.1330 0.38
~~~
Activity:
Retype the entries further above with every line break kept, please.
Worked solution:
[1]
Entry from the Open Molecules 2025 dataset: a molecular structure, C33H38F3GaN12OSSi2 (wB97M-V/def2-TZVPD).

Geometry as XYZ:
```
91
Properties=species:S:1:pos:R:3:mulliken_charge:R:1
Ga 1.2016 -0.6651 1.3313 -0.63
N 3.9470 0.1856 2.9705 0.06
C 2.8911 -0.2610 3.7540 0.21
N 2.9723 -0.3845 5.0637 -0.66
N 1.7583 -0.8666 5.4186 -0.85
N 1.0100 -1.0242 4.3907 -0.32
N 1.6910 -0.6169 3.2976 1.25
C 4.1748 -0.3010 1.6902 0.31
N 5.3773 -0.3827 1.1476 -0.79
N 5.1426 -0.8820 -0.0821 -0.90
N 3.8858 -1.0914 -0.2556 -0.23
N 3.2292 -0.7233 0.8658 0.94
H 4.7988 0.2955 3.4995 0.36
C 1.6682 3.1765 3.6144 -1.40
Si 0.4941 2.3198 2.3974 0.93
C -0.5817 3.6501 1.5874 -1.37
C -0.6299 1.3660 3.5504 -0.94
N 1.2933 1.3663 1.1759 0.41
C 1.9671 2.0378 0.1721 0.43
C 2.2426 1.4264 -1.0660 1.55
C 2.9118 2.0849 -2.0821 -0.37
C 3.3325 3.4019 -1.9437 -1.12
C 3.0683 4.0339 -0.7386 -0.97
C 2.4124 3.3752 0.2864 -0.40
H 1.0809 3.5134 4.4735 0.33
H 2.2232 4.0319 3.2338 0.46
H 2.3921 2.4453 3.9804 0.31
H -1.2969 4.0497 2.3100 0.41
H -1.1475 3.2166 0.7584 0.20
H -0.0045 4.4819 1.1869 0.42
H -1.4654 2.0188 3.8202 0.47
H -0.0987 1.1062 4.4643 0.48
H -1.0365 0.4447 3.1373 -0.04
H 1.9134 0.4071 -1.2199 -0.44
H 3.1106 1.5506 -3.0027 0.08
H 3.8662 3.9072 -2.7398 0.37
H 3.3860 5.0602 -0.5808 0.36
H 2.2536 3.9114 1.2061 0.07
F 0.0782 -3.1355 2.3166 -0.24
C 1.1179 -2.7819 1.4946 -0.10
F 2.2341 -3.2371 2.1559 -0.26
F 0.9931 -3.6322 0.4408 -0.36
C 3.8389 -1.0433 -4.1209 -1.13
N 2.8758 -1.0055 -3.0380 0.31
C 1.5534 -1.2947 -3.1700 -0.18
S 0.7538 -2.0089 -1.9084 0.10
N 0.9329 -0.9263 -4.3307 -0.22
C 1.2984 0.2773 -5.0616 -0.91
H 4.7734 -1.4410 -3.7283 0.37
H 4.0445 -0.0555 -4.5439 0.27
H 3.4952 -1.6998 -4.9238 0.39
H 3.2234 -1.2571 -2.1110 0.24
H -0.0620 -1.0904 -4.2643 0.37
H 1.9302 0.0653 -5.9266 0.28
H 1.8149 0.9827 -4.4104 0.17
H 0.3831 0.7546 -5.4112 0.37
O -0.6949 -0.5400 0.9580 0.72
Si -2.0399 -1.0011 0.2568 -1.42
C -2.1721 -0.1711 -1.4400 0.21
C -3.1615 -0.4699 -2.3751 -0.13
C -3.2389 0.2082 -3.5866 -0.80
C -2.3335 1.2224 -3.8719 -0.60
C -1.3533 1.5506 -2.9420 -0.78
C -1.2728 0.8538 -1.7449 0.44
C -3.5729 -0.3198 1.1535 0.44
C -3.5108 0.9713 1.6837 -0.38
C -4.6184 1.5805 2.2540 -0.81
C -5.8327 0.9091 2.2990 -0.47
C -5.9253 -0.3679 1.7656 -0.75
C -4.8075 -0.9695 1.1997 -0.41
C -2.3652 -2.8491 0.0702 1.03
C -2.7014 -3.5985 1.2015 -0.14
C -2.9546 -4.9589 1.1212 -0.73
C -2.8773 -5.6058 -0.1051 -0.54
C -2.5405 -4.8847 -1.2400 -0.77
C -2.2851 -3.5221 -1.1483 -0.11
H -3.8786 -1.2563 -2.1638 0.39
H -4.0095 -0.0495 -4.3050 0.38
H -2.3998 1.7634 -4.8099 0.38
H -0.6413 2.3409 -3.1501 0.49
H -0.4906 1.0927 -1.0336 0.20
H -2.5712 1.5084 1.6467 0.35
H -4.5330 2.5804 2.6627 0.42
H -6.7008 1.3781 2.7481 0.34
H -6.8694 -0.9004 1.7934 0.39
H -4.9022 -1.9685 0.7898 0.33
H -2.7420 -3.1128 2.1694 0.46
H -3.1951 -5.5181 2.0177 0.38
H -3.0675 -6.6713 -0.1717 0.33
H -2.4570 -5.3856 -2.1976 0.38
H -1.9975 -2.9755 -2.0372 0.31
```

Summary:
Charge: -2
Frontier orbital gap, eV: 6.56

[2]
Entry from the Open Molecules 2025 dataset: 7 unconnected molecules or ions with the total composition C30H45BIN6O3S at a distorted geometry (wB97M-V/def2-TZVPD).

Geometry as XYZ:
```
87
Properties=species:S:1:pos:R:3:mulliken_charge:R:1
C 0.1242 -1.1055 0.9018 -1.32
C -0.3803 0.2866 0.5427 0.15
C -0.5441 0.4763 -0.9494 -0.32
C 0.7471 0.3107 -1.7259 -0.32
O 1.2848 1.5577 -2.2598 -0.26
S 1.5609 2.6290 -1.0912 0.09
I 2.7356 4.3881 -2.1984 0.16
B 2.8822 1.9570 0.0999 0.90
O 3.0684 2.7729 1.1581 -0.59
O 3.5326 0.8126 -0.0494 -0.21
C 4.1371 0.5750 -1.3664 0.13
C 5.4212 -0.2038 -1.1552 -1.30
H 1.2095 -1.1250 0.9179 0.27
H -0.1933 -1.3816 1.8937 0.44
H -0.1821 -1.8457 0.1736 0.29
H -1.3388 0.4099 1.0256 0.31
H 0.2815 1.0408 0.9811 -0.09
H -1.0634 1.4025 -1.1704 0.32
H -1.2076 -0.3162 -1.2725 -0.07
H 1.4737 -0.2256 -1.1324 0.18
H 0.5692 -0.2993 -2.5960 0.46
H 2.6416 2.3691 1.9416 0.29
H 4.3500 1.5109 -1.8654 0.22
H 3.4714 -0.0274 -1.9675 0.18
H 5.5377 -0.9868 -1.8875 0.41
H 6.2752 0.4507 -1.1330 0.38